Iraq: Calls to speed up the reform of the economic and legal environment

[The piece is interrupted by data records]
~~~
(1)
103
Properties=species:S:1:pos:R:3 method="wB97M-V/def2-TZVPD" energy_ha=-4999.85148 e_lumo_ev="3.58 / 3.58" largest_force_ev_per_a=1.364 homo_energy_ev="-0.4 / -0.8" orbital_gap_ev="3.93 / 4.40" charge=-2 spin_multiplicity=4
V -1.084 0.221 2.783
C 2.174 -1.100 4.854
C 1.882 -0.474 3.533
O 0.779 -0.156 3.154
N 2.948 -0.296 2.661
C 2.643 0.468 1.474
C 2.533 1.959 1.707
C 2.407 2.832 0.625
C 2.162 4.166 0.875
C 2.058 4.599 2.191
C 2.237 3.664 3.198
N 2.482 2.379 2.963
H 1.296 -1.077 5.503
H 2.999 -0.581 5.350
H 2.470 -2.141 4.696
H 3.801 -0.043 3.137
H 1.660 0.124 1.132
H 3.360 0.259 0.675
H 2.457 2.448 -0.387
H 2.037 4.863 0.054
H 1.841 5.631 2.434
H 2.167 3.950 4.241
S -4.377 -0.746 6.488
Sb -2.209 -0.792 5.735
S -1.478 1.319 4.895
S -1.942 -1.856 3.610
S -0.723 -1.657 7.278
C -1.770 5.513 -1.513
C -2.747 5.476 -0.343
C -2.261 6.358 0.804
C -3.026 4.050 0.129
N -1.864 3.392 0.695
C -1.578 3.127 1.966
N -0.552 2.317 2.001
N -0.205 2.105 0.707
N -0.988 2.735 -0.083
H -1.595 6.543 -1.833
H -2.149 4.946 -2.366
H -0.811 5.074 -1.232
H -3.716 5.855 -0.688
H -1.300 6.001 1.182
H -2.966 6.360 1.637
H -2.124 7.389 0.471
H -3.375 3.397 -0.670
H -3.788 4.043 0.908
H -2.152 3.429 2.827
O -3.701 0.848 -0.321
C -3.346 0.252 0.712
O -2.791 0.747 1.729
H -3.605 -0.827 0.813
O -0.067 -1.069 0.712
P -0.208 -1.596 -0.681
C -0.676 -0.203 -1.769
C -1.189 -0.505 -3.187
C -1.233 0.791 -3.993
C 0.188 1.325 -4.249
C 1.156 0.894 -3.138
C 0.434 0.879 -1.795
C 1.455 -2.163 -1.192
C 2.157 -2.873 -0.014
C 3.429 -3.598 -0.484
C 4.071 -2.861 -1.656
C 3.145 -2.889 -2.886
C 1.664 -2.961 -2.479
C -1.598 -2.789 -0.792
C -1.882 -3.586 -2.081
C -1.310 -5.005 -2.114
C -1.655 -5.787 -0.854
C -1.122 -5.042 0.363
C -1.738 -3.655 0.472
H -1.522 0.218 -1.209
H -2.185 -0.947 -3.130
H -0.549 -1.222 -3.710
H -1.813 1.524 -3.425
H -1.759 0.637 -4.938
H 0.162 2.417 -4.298
H 0.554 0.977 -5.220
H 2.013 1.572 -3.106
H 1.559 -0.100 -3.356
H -0.023 1.856 -1.623
H 1.125 0.743 -0.960
H 1.959 -1.200 -1.331
H 1.480 -3.584 0.460
H 2.392 -2.137 0.755
H 3.190 -4.620 -0.798
H 4.129 -3.688 0.349
H 5.043 -3.292 -1.906
H 4.261 -1.825 -1.356
H 3.390 -3.747 -3.518
H 3.313 -1.994 -3.493
H 1.389 -4.000 -2.300
H 1.035 -2.608 -3.298
H -2.385 -2.026 -0.711
H -1.562 -3.045 -2.972
H -2.972 -3.676 -2.156
H -0.222 -4.972 -2.208
H -1.683 -5.515 -3.008
H -1.246 -6.800 -0.911
H -2.744 -5.883 -0.768
H -0.031 -4.978 0.280
H -1.332 -5.587 1.285
H -1.348 -3.122 1.335
H -2.807 -3.774 0.674

(2)
108
Properties=species:S:1:pos:R:3 method="wB97M-V/def2-TZVPD" energy_ha=-2906.84190 e_lumo_ev=0.04 largest_force_ev_per_a=7.132 homo_energy_ev=-9.5 orbital_gap_ev=9.54 smiles="COC(=O)OC.COC(=O)OC.COC(=O)OC.COC(=O)OC.O=C1CCCO1.O=C1CCCO1.O=C1CCCO1.O=C1CCCO1.O=C1CCCO1"
C -7.708 -3.805 -1.671
O -6.779 -3.695 -0.612
C -7.021 -3.618 0.651
O -8.083 -3.573 1.180
O -5.834 -3.735 1.372
C -4.565 -3.882 0.782
H -7.136 -3.890 -2.595
H -8.278 -2.878 -1.734
H -8.361 -4.678 -1.640
H -4.513 -4.709 0.075
H -3.897 -4.065 1.623
H -4.323 -2.967 0.240
~~~

Iraq: Calls to speed up the reform of the economic and legal environment


In order to provide jobs for the unemployed outside the framework of the public sector

of things for granted that the absence of the private sector means the absence of creativity and speed of adjustment to market needs and provide employment outside the public sector as well as the lack of competition between the private and public sectors  to the continued deterioration of the efficiency of the latter, something which requires government intervention to protect the public sector through financial support and protection policy customs rate of annual support is currently $ 3 billion Mini protect the institutions of productivity inert at the expense of the citizen who finds unchanged compelled to purchase goods and services at a higher price and the quality is poor.

This is what started it Dean Iraqi Institute for Reform d economy. Kamal Al-Basri in his speech for the “morning” as he said: In order to create a favorable environment or appealing to the activity of each of the private and public sector and restructure the structure of the economy as the global context should first reform of the business environment of the procedures, laws and make it a suitable environment as well as the achievement of human development is باشباع needs Rights of basic services, especially education, as can not achieve development without the interaction of citizens and positive so as to ensure the rule of law and good governance of the different institutions all this is one of the requirements of the development of the Iraqi economy, he said.

job and goes on visual analysis of the reality of the economic policy of the country indicates, for example, to that because of limited job opportunities that could be created by the public sector government is seeking to create jobs by increasing the number of employees of the police and the army and take advantage of the surplus cash in the purchase of military equipment, as well as the adoption of oil revenues on the price of oil the global market and this measure shows the country’s economy to the waves of tides, which are reflected by the sharp fluctuations in oil revenues, pointing out that oil revenues usually benefit the cities more than rural Maysbb immigration status usually ماتكون periods of time resulting in bottlenecks sharp due to insufficient supply of services in relation to demand and to social and economic problems multiple reflected on economic policies in the country through the weakness of the contribution of rural areas in the agricultural and livestock production and for changes in the fertility of the land and thus lead to heavy losses. agricultural sector In another matter drew the visual that the agricultural sector contributes in the amount of 4.15 percent of GDP, despite the fact that arable land Agriculture constitutes 20 percent of the area of Iraq and that nearly 75 percent of farmland irrigated suffer from salinity caused by the mismanagement of perfusion reminding that Statistics Food and Agriculture Organization of the United Nations indicate that farmland cultivated actually about 13 million acres, enough to meet the needs of the country the necessary nutrients for living 45 million citizens, pointing out that Iraq imports about 80 percent of the local market need for food, expressing surprise at this contradiction and calling for a study of this reality and research in order to find the solutions required to benefit from the agricultural land available and neglected place.

industrial sector and with regard to the sector industrial Fisher visual that the contribution of the industrial sector in GDP is estimated at 1.26 percent of GDP with the number of plants owned by the state amounting to 192 plants employing a total of 800,000 individual pointing out that they suffer from technological backwardness and obsolescence as well as that after the year 2003 suffered a lot from these projects of destruction and became the most of them with technology lagging productivity and low and a financial burden on the state, pointing out that because of the inefficiency of these projects to achieve the revenue necessary to cover the costs of production, the government is obliged to provide support amounting to $ 3 billion noting that the Council of Ministers issued a law to reform These institutions but no work done so far will require restructuring of these projects and privatization and the implementation of programs of governance in management.

ILO his part, said economic expert harmful Sbahi “morning” in the same regard it is useful to learn more about the reality of the private sector through The study made ​​by the International Labour Organization for micro-enterprises and small and medium-sized businesses in Iraq, where the organization has, in cooperation with the UN Office for Project Services conducted two surveys on the enterprise sector in Iraq and show the results that there are 84.5 percent of the institutions run by individuals and 12.1 percent are managed as a company. He added سباهي the scientific level of the workers in these institutions 5.6 percent Lamy 17 percent reads and writes and 31.4 percent primary education and secondary education 21.4 percent and 9.5 percent and 0.1 Graduate Graduate useful to 7.4 percent have bank account Iraqis and 90.7 percent Unrecorded institution in any party and 23 percent of the sample pay taxes and 8 percent are enrolled in the Social Development Fund, warning that these results are Atbashr well and need government support thoughtful to the private sector based on comparative advantage and the output of production and not inputs as well as providing training and qualification of new technology and material support bis say the importance of the adoption of these figures as indicators of the decline in the government’s performance مايتطلب reconsider everything stated in these figures towards strengthening human capacity through training and rehabilitation.

human development and stressed Sbahi at the end of his speech the need to overcome the country on these challenges and reform of the economic environment and legal and procedural in Iraq and activate deferred laws and which depend necessary to encourage foreign investment capital and provide the necessary quantity and duration, technological development and administrative noting that all of this will lead to human development we desperately need.